### Material
/*
# V3SbP4O16
Calculated powder diffraction line list, CuKα. Input: a cell relaxed with GGA+U.
No peak broadening, texture or thermal motion is included.

Largest 10 diffraction maxima, in order of falling intensity, 2θ = 15–90°:
2θ 24.65, d = 3.611 Å, I 100, hkl 1 1 1
2θ 19.67, d = 4.514 Å, I 80, hkl 1 0 1
2θ 17.25, d = 5.139 Å, I 80, hkl 0 0 2
2θ 29.69, d = 3.009 Å, I 68, hkl 0 2 0
2θ 34.97, d = 2.566 Å, I 52, hkl 1 1 -3
2θ 35.08, d = 2.558 Å, I 47, hkl 1 1 3
2θ 35.86, d = 2.504 Å, I 32, hkl 1 2 1
2θ 28.95, d = 3.084 Å, I 26, hkl 1 1 2
2θ 56.19, d = 1.637 Å, I 23, hkl 1 3 -3
2θ 22.75, d = 3.908 Å, I 23, hkl 0 1 2

Cell and atoms:
a = 5.026 Å, b = 6.019 Å, c = 10.279 Å
α = 90.00°, β = 90.23°, γ = 90.00°
Element x y z (fractional)
V: 0.000 0.000 0.000
V: 0.074 0.500 0.451
V: 0.505 0.500 0.964
Sb: 0.568 0.000 0.506
P: 0.113 0.000 0.315
P: 0.431 0.000 0.839
P: 0.654 0.500 0.634
P: 0.943 0.500 0.131
O: 0.178 0.000 0.170
O: 0.241 0.500 0.104
O: 0.251 0.203 0.386
O: 0.251 0.797 0.386
O: 0.291 0.201 0.912
O: 0.291 0.799 0.912
O: 0.356 0.000 0.696
O: 0.369 0.500 0.582
O: 0.661 0.500 0.782
O: 0.731 0.000 0.861
O: 0.794 0.301 0.060
O: 0.794 0.699 0.060
O: 0.812 0.000 0.335
O: 0.821 0.303 0.570
O: 0.821 0.697 0.570
O: 0.892 0.500 0.278

=====

For GeSbS3, DFT lattice parameters and positions (PBE) gives the simulated powder XRD pattern in this record (a wavelength of 1.5418 Å).
Lines closer than 0.1° are merged.

Main lines, by angle (10 to 90 degrees two-theta):
d_spacing	I/Imax	(hkl)
8.625	84	1 0 1
5.944	100	2 0 1
3.240	13	2 1 0
3.224	16	2 0 3
3.104	40	2 1 1
2.714	42	0 0 4
2.542	66	4 1 0
2.078	17	2 0 5
1.855	45	4 1 4
1.820	13	0 2 0

Crystal structure
a b c (Å): 14.2078 3.6403 10.8542
angles (deg): 90.00 90.00 90.00
Space group Pnma (No. 62)
Inequivalent atoms, fractional coordinates:
Ge 0.2017 0.2500 0.1426
Sb 0.0717 0.7500 0.3769
S 0.0614 0.7500 0.6317
S 0.0857 0.7500 0.1365
S 0.2087 0.2500 0.3673

For TaGeSbS2, DFT lattice parameters and positions (PBE) gives the simulated powder XRD pattern in this record (a wavelength of 1.5418 Å).
Lines closer than 0.1° are merged.

Main lines, by angle (10 to 90 degrees two-theta):
d_spacing	I/Imax	(hkl)
4.932	100	1 0 0
3.487	81	1 1 0
2.934	45	1 1 1
2.715	44	0 0 2
2.466	67	2 0 0
2.379	31	1 0 2
2.206	25	2 1 0
2.143	44	1 1 2
1.825	53	2 0 2
1.467	26	2 2 2

Crystal structure
a b c (Å): 4.9317 4.9317 5.4309
angles (deg): 90.00 90.00 90.00
Space group P4/mmm (No. 123)
Inequivalent atoms, fractional coordinates:
Ta 0.0000 0.0000 0.0000
Ge 0.5000 0.5000 0.0000
Sb 0.0000 0.0000 0.5000
S 0.0000 0.5000 0.5000

For Tl2GeSbS4, DFT lattice parameters and positions (PBE) gives the simulated powder XRD pattern in this record (a wavelength of 1.5418 Å).
Lines closer than 0.1° are merged.

Main lines, by angle (10 to 90 degrees two-theta):
d_spacing	I/Imax	(hkl)
4.005	83	2 1 0
3.612	100	0 2 1
3.313	79	2 1 1
2.949	59	0 0 2
2.806	39	2 2 1
2.514	44	2 3 0
2.375	35	2 1 2
1.913	36	2 3 2
1.896	23	4 2 1
1.806	22	0 2 3

Crystal structure
a b c (Å): 8.9111 9.1359 5.8986
angles (deg): 90.00 90.00 90.00
Space group Pmn2_1 (No. 31)
Inequivalent atoms, fractional coordinates:
Tl 0.2226 0.1441 0.0000
Ge 0.0000 0.3951 0.4217
Sb 0.0000 0.6799 0.9625
S 0.0000 0.4003 0.0291
S 0.0000 0.6484 0.5326
S 0.2049 0.2564 0.5070

For Sc8GeS6, DFT lattice parameters and positions (PBE) gives the simulated powder XRD pattern in this record (a wavelength of 1.5418 Å).
Lines closer than 0.1° are merged.

Main lines, by angle (10 to 90 degrees two-theta):
d_spacing	I/Imax	(hkl)
3.352	22	0 1 1
2.908	46	2 -1 1
2.755	96	3 0 0
2.743	53	0 2 1
2.378	100	3 -1 1
2.292	42	1 3 0
2.000	70	2 2 1
1.684	31	3 2 1
1.377	20	6 0 0
1.124	18	3 5 1

Crystal structure
a b c (Å): 9.5441 9.5441 3.6674
angles (deg): 90.00 90.00 120.00
Space group P-3 (No. 147)
Inequivalent atoms, fractional coordinates:
Sc 0.0315 0.3215 0.2428
Sc 0.3333 0.6667 0.7558
Ge 0.0000 0.0000 0.0000
S 0.1340 0.6581 0.2540
*/
### Activity
The reader should work out how many lines above have the word "with" in them; a number is enough.
### Worked solution
1